# Brief
Your job: retype the part of the rows further below that starts with the line with "NiAgAu2, computed" and stops after the one with "0.6733".
# Listing
~~~
A relaxed structure of NiAgAu2, computed with PBE.

Lattice parameters (Å, degrees): 2.8959 4.6721 4.8332 90.00 90.00 90.00
Sites, in units of the cell vectors:
Ni  0.0000  0.0000  0.0000
Ag  0.0000  0.5000  0.6403
Au  0.5000  0.0000  0.4920
Au  0.5000  0.5000  0.1275

Values from the calculation:
Formation energy (eV per atom): 0.10
Energy relative to the lowest polymorph listed for this composition (eV/f.u.): 0.294
VASP energy (eV/atom): -3.696
Total magnetic moment (μB/f.u.): 0.2
SG: Pmm2

A relaxed structure of Fe2SiHg, computed with PBE.

Lattice parameters (Å, degrees): 2.8400 3.9993 5.2411 90.00 90.00 90.00
Sites, in units of the cell vectors:
Fe  0.0000  0.0000  0.0000
Fe  0.0000  0.5000  0.2671
Si  0.5000  0.0000  0.3574
Hg  0.5000  0.5000  0.7500

Values from the calculation:
Energy relative to the lowest polymorph listed for this composition (eV/f.u.): 0.642
VASP energy (eV/atom): -5.424
Total magnetic moment (μB/f.u.): 4.5
SG: Pmm2
Energy relative to the elements, uncorrected (eV/f.u.): 0.95

A relaxed structure of Cs3Na2ErBr9, computed with PBE.

Lattice parameters (Å, degrees): 8.0062 8.0062 10.2533 90.00 90.00 120.00
Sites, in units of the cell vectors:
Cs  0.0000  0.0000  0.0000
Cs  0.3333  0.6667  0.6733
Cs  0.6667  0.3333  0.3267
Na  0.3333  0.6667  0.1725
~~~
# Here it is
A relaxed structure of NiAgAu2, computed with PBE.

Lattice parameters (Å, degrees): 2.8959 4.6721 4.8332 90.00 90.00 90.00
Sites, in units of the cell vectors:
Ni  0.0000  0.0000  0.0000
Ag  0.0000  0.5000  0.6403
Au  0.5000  0.0000  0.4920
Au  0.5000  0.5000  0.1275

Values from the calculation:
Formation energy (eV per atom): 0.10
Energy relative to the lowest polymorph listed for this composition (eV/f.u.): 0.294
VASP energy (eV/atom): -3.696
Total magnetic moment (μB/f.u.): 0.2
SG: Pmm2

A relaxed structure of Fe2SiHg, computed with PBE.

Lattice parameters (Å, degrees): 2.8400 3.9993 5.2411 90.00 90.00 90.00
Sites, in units of the cell vectors:
Fe  0.0000  0.0000  0.0000
Fe  0.0000  0.5000  0.2671
Si  0.5000  0.0000  0.3574
Hg  0.5000  0.5000  0.7500

Values from the calculation:
Energy relative to the lowest polymorph listed for this composition (eV/f.u.): 0.642
VASP energy (eV/atom): -5.424
Total magnetic moment (μB/f.u.): 4.5
SG: Pmm2
Energy relative to the elements, uncorrected (eV/f.u.): 0.95

A relaxed structure of Cs3Na2ErBr9, computed with PBE.

Lattice parameters (Å, degrees): 8.0062 8.0062 10.2533 90.00 90.00 120.00
Sites, in units of the cell vectors:
Cs  0.0000  0.0000  0.0000
Cs  0.3333  0.6667  0.6733